Entries =
<<<
(1)
DFT (ωB97M-V/def2-TZVPD) results for C23H42BGeNO4Ru as an isolated structure.

XYZ file:
```
73
C23H42BGeNO4Ru | the Open Molecules 2025 dataset | ωB97M-V/def2-TZVPD
Ru 0.10158 1.12152 0.49308
C -2.52324 3.33753 0.97353
C -1.23418 3.96311 0.46577
C -1.49426 4.81808 -0.75966
C -0.48966 4.72230 1.54303
O -0.28167 2.89213 -0.00662
Ge 0.09650 2.41033 -2.10158
O -1.00358 1.04720 -1.57147
C -1.88923 0.20517 -2.39662
C -1.56928 -1.23777 -2.06744
C -1.60672 0.51041 -3.85770
C -3.31281 0.56289 -2.01546
O 1.39231 1.35952 -0.99022
C 2.79263 1.76122 -0.63518
C 3.09317 3.07846 -1.32363
C 2.85136 1.91215 0.87712
C 3.69215 0.64853 -1.12715
H -3.31530 4.08440 0.92862
H -2.44229 3.00026 2.00359
H -2.83105 2.50043 0.34291
H -2.08805 5.68343 -0.46679
H -2.06358 4.27199 -1.51794
H -0.56605 5.19336 -1.19570
H -1.15440 5.47237 1.97253
H 0.38874 5.22915 1.14185
H -0.18023 4.05259 2.34779
H -0.52060 -1.45517 -2.28514
H -2.18562 -1.90605 -2.66895
H -1.77234 -1.44972 -1.01474
H -0.56628 0.28943 -4.11532
H -1.82539 1.55413 -4.09790
H -2.23979 -0.10287 -4.49857
H -3.47247 0.41603 -0.94524
H -4.01915 -0.07016 -2.55290
H -3.53479 1.60235 -2.26238
H 2.41530 3.86862 -0.99092
H 3.02890 2.98538 -2.40962
H 4.10844 3.39193 -1.08208
H 2.20056 2.72038 1.22817
H 3.85915 2.17096 1.20369
H 2.61074 0.96910 1.38590
H 3.52532 0.45612 -2.18758
H 3.52617 -0.27346 -0.56685
H 4.73603 0.93333 -0.99442
C -0.20421 -7.24762 0.95922
C 0.08949 -5.80143 0.73071
C 0.96763 -5.40260 -0.28348
C 1.25606 -4.07972 -0.50402
C 2.22669 -3.71994 -1.59907
C 0.62447 -3.09362 0.33659
C 0.94237 -1.77691 0.07118
O 0.50572 -0.76216 0.73944
C -0.27983 -3.49534 1.38628
C -0.95464 -2.52404 2.31000
C -0.51853 -4.83382 1.54632
H 0.31925 -7.89027 0.25666
H -1.27752 -7.43028 0.87475
H 0.08244 -7.52795 1.97526
H 1.43202 -6.15921 -0.90312
H 2.51173 -4.61347 -2.14794
H 3.13969 -3.28116 -1.19166
H 1.80246 -3.01900 -2.32022
H 1.64167 -1.55219 -0.73192
H -0.22591 -1.93457 2.86814
H -1.57784 -3.06284 3.01964
H -1.58709 -1.82237 1.76327
H -1.19105 -5.16033 2.33028
B -0.65547 1.24803 4.90480
C -0.67307 1.18919 3.42002
N -0.65539 1.15577 2.23574
H -0.37221 0.14183 5.30798
H 0.14085 2.15225 5.12359
H -1.74682 1.60262 5.31972
```

Calculated values
LUMO level (alpha / beta): -7.005 / -9.362 eV
Orbital gap (alpha / beta): 8.1 / 5.8 eV
Net charge: +2
2S+1: 5
<S²>: 6.027

How is the electron density shared among the atoms? According to Löwdin, the charges in e are:
1. Ru 1.7302
2. C -0.0179
3. C -0.6001
4. C -0.0520
5. C -0.0082
6. O -0.4782
7. Ge 1.2015
8. O -0.4435
9. C -0.6493
10. C -0.0167
11. C -0.0529
12. C -0.0168
13. O -0.4976
14. C -0.6264
15. C -0.0463
16. C -0.0395
17. C -0.0096
18. H 0.1098
19. H 0.0755
20. H 0.0748
21. H 0.1145
22. H 0.0834
23. H 0.0874
24. H 0.1137
25. H 0.0980
26. H 0.0818
27. H 0.0842
28. H 0.1104
29. H 0.0848
30. H 0.0916
31. H 0.0837
32. H 0.1107
33. H 0.0886
34. H 0.1062
35. H 0.0948
36. H 0.0835
37. H 0.0907
38. H 0.1135
39. H 0.0816
40. H 0.1198
41. H 0.0830
42. H 0.1029
43. H 0.0797
44. H 0.1113
45. C -0.0064
46. C -0.1794
47. C 0.0286
48. C -0.1569
49. C -0.0187
50. C -0.0982
51. C -0.1148
52. O -0.2310
53. C -0.1446
54. C -0.0147
55. C 0.0253
56. H 0.0907
57. H 0.1073
58. H 0.1089
59. H 0.1329
60. H 0.0940
61. H 0.1007
62. H 0.0869
63. H 0.1137
64. H 0.0919
65. H 0.0963
66. H 0.0837
67. H 0.1378
68. B -0.3257
69. C -0.1242
70. N -0.0206
71. H 0.0549
72. H 0.0727
73. H 0.0725

(2)
DFT (ωB97M-V/def2-TZVPD) results for C23H42CaCl3N4O3Si as an isolated structure at a distorted geometry.

XYZ file:
```
77
C23H42CaCl3N4O3Si | the Open Molecules 2025 dataset | ωB97M-V/def2-TZVPD
C 1.84177 2.72383 -4.30478
C 2.06552 2.35675 -2.87278
H 2.83292 2.78020 -4.76788
H 1.29787 3.65709 -4.54053
H 1.30321 1.90780 -4.80323
C 2.58503 3.12147 -1.92433
C 3.63440 4.10035 -2.23621
H 2.43070 2.89365 -0.85558
H 3.26851 5.07926 -2.55448
H 4.27522 3.67232 -3.01681
H 4.23040 4.27306 -1.30219
Ca -1.95448 -0.86908 2.16915
Cl -0.57776 -2.31571 -0.16452
Cl -4.34743 -0.20519 1.46809
>>>

Exercise =
Print the listing further above from the first line to the one with "2.16915" word for word.

Response =
(1)
DFT (ωB97M-V/def2-TZVPD) results for C23H42BGeNO4Ru as an isolated structure.

XYZ file:
```
73
C23H42BGeNO4Ru | the Open Molecules 2025 dataset | ωB97M-V/def2-TZVPD
Ru 0.10158 1.12152 0.49308
C -2.52324 3.33753 0.97353
C -1.23418 3.96311 0.46577
C -1.49426 4.81808 -0.75966
C -0.48966 4.72230 1.54303
O -0.28167 2.89213 -0.00662
Ge 0.09650 2.41033 -2.10158
O -1.00358 1.04720 -1.57147
C -1.88923 0.20517 -2.39662
C -1.56928 -1.23777 -2.06744
C -1.60672 0.51041 -3.85770
C -3.31281 0.56289 -2.01546
O 1.39231 1.35952 -0.99022
C 2.79263 1.76122 -0.63518
C 3.09317 3.07846 -1.32363
C 2.85136 1.91215 0.87712
C 3.69215 0.64853 -1.12715
H -3.31530 4.08440 0.92862
H -2.44229 3.00026 2.00359
H -2.83105 2.50043 0.34291
H -2.08805 5.68343 -0.46679
H -2.06358 4.27199 -1.51794
H -0.56605 5.19336 -1.19570
H -1.15440 5.47237 1.97253
H 0.38874 5.22915 1.14185
H -0.18023 4.05259 2.34779
H -0.52060 -1.45517 -2.28514
H -2.18562 -1.90605 -2.66895
H -1.77234 -1.44972 -1.01474
H -0.56628 0.28943 -4.11532
H -1.82539 1.55413 -4.09790
H -2.23979 -0.10287 -4.49857
H -3.47247 0.41603 -0.94524
H -4.01915 -0.07016 -2.55290
H -3.53479 1.60235 -2.26238
H 2.41530 3.86862 -0.99092
H 3.02890 2.98538 -2.40962
H 4.10844 3.39193 -1.08208
H 2.20056 2.72038 1.22817
H 3.85915 2.17096 1.20369
H 2.61074 0.96910 1.38590
H 3.52532 0.45612 -2.18758
H 3.52617 -0.27346 -0.56685
H 4.73603 0.93333 -0.99442
C -0.20421 -7.24762 0.95922
C 0.08949 -5.80143 0.73071
C 0.96763 -5.40260 -0.28348
C 1.25606 -4.07972 -0.50402
C 2.22669 -3.71994 -1.59907
C 0.62447 -3.09362 0.33659
C 0.94237 -1.77691 0.07118
O 0.50572 -0.76216 0.73944
C -0.27983 -3.49534 1.38628
C -0.95464 -2.52404 2.31000
C -0.51853 -4.83382 1.54632
H 0.31925 -7.89027 0.25666
H -1.27752 -7.43028 0.87475
H 0.08244 -7.52795 1.97526
H 1.43202 -6.15921 -0.90312
H 2.51173 -4.61347 -2.14794
H 3.13969 -3.28116 -1.19166
H 1.80246 -3.01900 -2.32022
H 1.64167 -1.55219 -0.73192
H -0.22591 -1.93457 2.86814
H -1.57784 -3.06284 3.01964
H -1.58709 -1.82237 1.76327
H -1.19105 -5.16033 2.33028
B -0.65547 1.24803 4.90480
C -0.67307 1.18919 3.42002
N -0.65539 1.15577 2.23574
H -0.37221 0.14183 5.30798
H 0.14085 2.15225 5.12359
H -1.74682 1.60262 5.31972
```

Calculated values
LUMO level (alpha / beta): -7.005 / -9.362 eV
Orbital gap (alpha / beta): 8.1 / 5.8 eV
Net charge: +2
2S+1: 5
<S²>: 6.027

How is the electron density shared among the atoms? According to Löwdin, the charges in e are:
1. Ru 1.7302
2. C -0.0179
3. C -0.6001
4. C -0.0520
5. C -0.0082
6. O -0.4782
7. Ge 1.2015
8. O -0.4435
9. C -0.6493
10. C -0.0167
11. C -0.0529
12. C -0.0168
13. O -0.4976
14. C -0.6264
15. C -0.0463
16. C -0.0395
17. C -0.0096
18. H 0.1098
19. H 0.0755
20. H 0.0748
21. H 0.1145
22. H 0.0834
23. H 0.0874
24. H 0.1137
25. H 0.0980
26. H 0.0818
27. H 0.0842
28. H 0.1104
29. H 0.0848
30. H 0.0916
31. H 0.0837
32. H 0.1107
33. H 0.0886
34. H 0.1062
35. H 0.0948
36. H 0.0835
37. H 0.0907
38. H 0.1135
39. H 0.0816
40. H 0.1198
41. H 0.0830
42. H 0.1029
43. H 0.0797
44. H 0.1113
45. C -0.0064
46. C -0.1794
47. C 0.0286
48. C -0.1569
49. C -0.0187
50. C -0.0982
51. C -0.1148
52. O -0.2310
53. C -0.1446
54. C -0.0147
55. C 0.0253
56. H 0.0907
57. H 0.1073
58. H 0.1089
59. H 0.1329
60. H 0.0940
61. H 0.1007
62. H 0.0869
63. H 0.1137
64. H 0.0919
65. H 0.0963
66. H 0.0837
67. H 0.1378
68. B -0.3257
69. C -0.1242
70. N -0.0206
71. H 0.0549
72. H 0.0727
73. H 0.0725

(2)
DFT (ωB97M-V/def2-TZVPD) results for C23H42CaCl3N4O3Si as an isolated structure at a distorted geometry.

XYZ file:
```
77
C23H42CaCl3N4O3Si | the Open Molecules 2025 dataset | ωB97M-V/def2-TZVPD
C 1.84177 2.72383 -4.30478
C 2.06552 2.35675 -2.87278
H 2.83292 2.78020 -4.76788
H 1.29787 3.65709 -4.54053
H 1.30321 1.90780 -4.80323
C 2.58503 3.12147 -1.92433
C 3.63440 4.10035 -2.23621
H 2.43070 2.89365 -0.85558
H 3.26851 5.07926 -2.55448
H 4.27522 3.67232 -3.01681
H 4.23040 4.27306 -1.30219
Ca -1.95448 -0.86908 2.16915